Crikey - It's December!
Crikey - it's December. Have spent a day and a half in bed with Covid. Nasty virus. Got up at lunchtime today to do some gardening. Nice to be out in the garden again. Will take it easy.
Saturday 2nd December
Materials data, as found in the file:
********
Entry 1:
Simulated X-ray powder pattern
Compound: Cs3HfBr7
Radiation: Cu Kα, 1.54184 Å
Structure: a PBE-relaxed structure

Cell and atoms:
Unit cell a=8.119 b=8.119 c=9.023 alpha=115.57 beta=115.57 gamma=86.56
Fractional positions:
Cs  0.000  0.000  0.000
Cs  0.272  0.746  0.575
Cs  0.746  0.272  0.575
Hf  0.551  0.551  0.135
Br  0.222  0.520  0.841
Br  0.380  0.380  0.233
Br  0.386  0.853  0.268
Br  0.520  0.222  0.841
Br  0.719  0.719  0.040
Br  0.801  0.801  0.517
Br  0.853  0.386  0.268

Main lines, in order of falling intensity (2θ from 10° to 80°):
2θ 20.10, 4.417 Å, rel. 100.0
2θ 32.20, 2.780 Å, rel. 93.1
2θ 12.22, 7.242 Å, rel. 45.8
2θ 30.33, 2.947 Å, rel. 41.2
2θ 37.45, 2.401 Å, rel. 29.8
2θ 12.80, 6.917 Å, rel. 24.3
2θ 18.64, 4.760 Å, rel. 23.9
2θ 34.04, 2.634 Å, rel. 23.6
2θ 25.76, 3.458 Å, rel. 22.7
2θ 40.85, 2.209 Å, rel. 21.2
2θ 15.03, 5.893 Å, rel. 19.5
2θ 44.79, 2.023 Å, rel. 18.5

***

Entry 2:
Simulated X-ray powder pattern
Compound: Cs2RbHfBr6
Radiation: Cu Kα, 1.54184 Å
Structure: a PBE-relaxed structure

Cell and atoms:
Unit cell a=16.805 b=16.805 c=16.805 alpha=27.44 beta=27.44 gamma=27.44
Fractional positions:
Cs  0.140  0.140  0.140
Cs  0.308  0.308  0.308
Cs  0.692  0.692  0.692
Cs  0.860  0.860  0.860
Rb  0.415  0.415  0.415
Rb  0.585  0.585  0.585
Hf  0.000  0.000  0.000
Hf  0.500  0.500  0.500
Br  0.147  0.629  0.629
Br  0.190  0.190  0.717
Br  0.190  0.717  0.190
Br  0.283  0.810  0.810
Br  0.371  0.371  0.853
Br  0.371  0.853  0.371
Br  0.629  0.147  0.629
Br  0.629  0.629  0.147
Br  0.717  0.190  0.190
Br  0.810  0.283  0.810
Br  0.810  0.810  0.283
Br  0.853  0.371  0.371

Main lines, in order of falling intensity (2θ from 10° to 80°):
2θ 10.95, 8.081 Å, rel. 100.0
2θ 28.90, 3.089 Å, rel. 99.5
2θ 22.33, 3.981 Å, rel. 60.4
2θ 32.96, 2.717 Å, rel. 54.7
2θ 45.53, 1.992 Å, rel. 54.3
2θ 13.34, 6.638 Å, rel. 45.2
2θ 27.43, 3.251 Å, rel. 43.8
2θ 36.77, 2.444 Å, rel. 30.3
2θ 31.53, 2.837 Å, rel. 24.0
2θ 39.18, 2.299 Å, rel. 18.9
2θ 39.58, 2.277 Å, rel. 18.8
2θ 57.54, 1.602 Å, rel. 18.1

***

Entry 3:
Simulated X-ray powder pattern
Compound: CsHgBr3
Radiation: Cu Kα, 1.54184 Å
Structure: a PBE-relaxed structure

Cell and atoms:
Unit cell a=8.145 b=8.145 c=8.145 alpha=119.62 beta=119.62 gamma=90.65
Fractional positions:
Cs  0.250  0.750  0.500
Cs  0.750  0.250  0.500
Hg  0.000  0.000  0.000
Hg  0.500  0.500  0.000
Br  0.224  0.224  0.000
Br  0.264  0.264  0.528
Br  0.264  0.736  0.000
Br  0.736  0.264  0.000
Br  0.736  0.736  0.472
Br  0.776  0.776  0.000

Main lines, in order of falling intensity (2θ from 10° to 80°):
2θ 30.87, 2.896 Å, rel. 100.0
2θ 21.82, 4.072 Å, rel. 91.1
2θ 44.49, 2.036 Å, rel. 68.3
2θ 31.24, 2.863 Å, rel. 46.5
2θ 21.70, 4.096 Å, rel. 45.0
2θ 38.13, 2.360 Å, rel. 43.0
2θ 15.30, 5.792 Å, rel. 37.1
2θ 44.23, 2.048 Å, rel. 36.3
2θ 55.14, 1.666 Å, rel. 35.5
2θ 26.76, 3.331 Å, rel. 26.5
2θ 49.81, 1.831 Å, rel. 22.3
2θ 34.67, 2.587 Å, rel. 20.6

***

Entry 4:
Simulated X-ray powder pattern
********
End of the materials data:
Weeded more of the Driveway Garden, then wandered over to the new burning heap and cranked it up again. Since Non-Gardening Partner spent his Covid isolation week chain-sawing, thought it was time for me to shape up... The end of the Hump is much improved, with much of the mess cleared and burnt. It almost looks gardenable! And the daylilies I transplanted in the front of the nearby Hump Garden are very happily blooming - obviously this is the perfect position for them.

Lots of Special Gift Roses
A rose called Special Gift missed my rather random pruning regime and has gone absolutely mad. It must have rambling genes? The local nursery (the only one to stock it) describes it as 'rudely healthy with plenty of flowers'. They do not give any breeding information. Hmm...
Thanks to the kindness of daughter dropping off a food parcel we had THE most amazing Lasagne for our evening meal, washed down with Kombucha. Then we went on a very slow train in Brazil. NGP got bored, I just got very sleepy. Rather nice, though. Have been feeling sleepy all day.

Daylilies in the Hump Garden
Good morning. It's Day Four since I tested positive for Covid (the Fifth Wave for New Zealand, according to one of my friends). I am about to take my own advice - to do half as much gardening as I would normally do. Which just about covers anything from two to six hours work, hee hee. First I'm going to dig the Alkanet out of the Allotment Garden (not all the roots - this way it will re-flower for the bees). Then I'll take stock.
Much, much later...
I don't think I took my own advice. Started off OK - did an hour and a quarter's weeding in the Allotment Garden. After lunch I wandered over to the Hump and reignited the bonfire. Slowly but surely worked away, trimming pieces of tree mess and burning them. Oops - did about four hours work (but I had two wee rests in the middle).

My New Garden Area
Then NGP arrived to do the final (almost) chain-sawing. He is going to leave the thick pieces of pine - perhaps a family member might like them? Aha! A Christmas gift...
Sunday 3rd December
This morning NGP and I went for a contactless drive in the car (so old-school) to deliver a paddling pool for the baby. Then he vacuumed the house (yeay!) while I went outside to weed around the house gardens. The idea was that the southerly would arrive (with cold winds and rain) and drive me inside. Three hours later, and no change in the weather. Decided to be sensible and stop before I was completely tired out. But I want rain. Maybe I have magic fingers, and by typing sentences about the rain I can tease it into starting.